I wanted to share this with you since it actually happened about 30 minutes ago. I was on the veranda moving paper bricks and I got an almighty, awful sting from a scorpion. It really caught me by surprise because I had just reached my hand out to grab a brick and it must have been hiding behind it. I gave such an almighty scream that even my cat woke up from his dreamy Sunday nap. He promptly fell asleep again once he saw me jumping about like a mad maniac…hmmm, he must think that this is a normal state for me…
Anyway, I didn’t want to be a woose and call Gnome (emergency doc) for a scorpion bite so I ran into the house to see what I could do myself. Yesterday, I had been bottling our Itch Done Gone (insect bite relief) product and since it was readily available, I grabbed some of that.
<<<
Record 1
An optimized crystal structure of Ta2Be17, computed with PBE.

As for the space-group type: R-3m, No. 166. As for the calculated volume: 168 Å³/cell. For the raw total energy, the calculation gives -90.8 eV per cell.

abc: 5.556 5.556 5.556
angles: 82.89 82.89 82.89
Fractional coordinates of all 19 atoms:
Ta1 0.841 0.841 0.841
Ta2 0.159 0.159 0.159
Be1 0.599 0.599 0.599
Be2 0.401 0.401 0.401
Be3 0.500 0.500 0.000
Be4 0.000 0.500 0.500
Be5 0.500 0.000 0.500
Be6 0.205 0.500 0.795
Be7 0.795 0.205 0.500
Be8 0.500 0.795 0.205
Be9 0.795 0.500 0.205
Be10 0.205 0.795 0.500
Be11 0.500 0.205 0.795
Be12 0.847 0.338 0.847
Be13 0.847 0.847 0.338
Be14 0.338 0.847 0.847
Be15 0.153 0.662 0.153
Be16 0.153 0.153 0.662
Be17 0.662 0.153 0.153

---

Record 2
An optimized crystal structure of TbBe13, computed with PBE.

As for the space-group type: Fm-3c, No. 226. As for the calculated volume: 265 Å³/cell. For the raw total energy, the calculation gives -111.7 eV per cell.

abc: 7.208 7.208 7.208
angles: 60.00 60.00 60.00
Fractional coordinates of all 28 atoms:
Tb1 0.250 0.250 0.250
Tb2 0.750 0.750 0.750
Be1 0.500 0.500 0.500
Be2 0.000 0.000 0.000
Be3 0.210 0.790 0.563
Be4 0.063 0.290 0.710
Be5 0.710 0.937 0.063
Be6 0.063 0.937 0.290
Be7 0.937 0.063 0.710
Be8 0.937 0.290 0.063
Be9 0.710 0.063 0.290
Be10 0.563 0.790 0.437
Be11 0.437 0.790 0.210
Be12 0.790 0.437 0.563
Be13 0.437 0.210 0.563
Be14 0.790 0.563 0.210
Be15 0.563 0.210 0.790
Be16 0.210 0.437 0.790
Be17 0.210 0.563 0.437
Be18 0.710 0.290 0.937
Be19 0.290 0.063 0.937
Be20 0.290 0.937 0.710
Be21 0.063 0.710 0.937
Be22 0.937 0.710 0.290
Be23 0.290 0.710 0.063
Be24 0.563 0.437 0.210
Be25 0.790 0.210 0.437
Be26 0.437 0.563 0.790

---

Record 3
An optimized crystal structure of TiBe3, computed with PBE.

As for the space-group type: R-3m, No. 166. As for the calculated volume: 123 Å³/cell. For the raw total energy, the calculation gives -59.8 eV per cell.

abc: 7.533 7.533 7.533
angles: 34.63 34.63 34.63
Fractional coordinates of all 12 atoms:
Ti1 0.858 0.858 0.858
Ti2 0.142 0.142 0.142
Ti3 0.000 0.000 0.000
Be1 0.418 0.921 0.418
Be2 0.418 0.418 0.921
Be3 0.921 0.418 0.418
Be4 0.582 0.079 0.582
Be5 0.582 0.582 0.079
Be6 0.079 0.582 0.582
Be7 0.666 0.666 0.666
Be8 0.334 0.334 0.334
Be9 0.500 0.500 0.500

---

no.,DFT formation energy (eV per atom)
1,-0.182
2,-0.185
3,-0.205

~~~~~

The following is a DFT calculation (PBE-GGA) of an optimized crystal structure of MgV2S4.

abc: 3.238 16.719 3.243
angles: 86.11 60.02 88.51
Positions (direct):
Mg 0.000 0.000 0.000
V 0.746 0.244 0.507
V 0.254 0.756 0.494
S 0.418 0.331 0.138
S 0.923 0.843 0.131
S 0.077 0.157 0.869
S 0.581 0.669 0.862

Values from the calculation:
MP2020-corrected energy in eV/atom: -6.24
Energy of formation in meV/atom: -1055
Density in Mg/m³: 2.8
ΔE to the lowest computed polymorph in kJ/mol of formula units: 147

=====

The following is a DFT calculation (PBE-GGA) of an optimized crystal structure of Ta4P4S29.

abc: 15.918 15.918 14.118
>>>

This is what I did: I dumped a bottle (10mls) of Itch Done Gone, about a 1/4 cup of baking soda, filled the jug up to about 500mls (1/2 quart) with water and stuck my hand in it.
Ahhhh relief…the copal (a natural anti-inflammatory) together with the camphor in the Itch Done Gone cooled down the inflammation and my hand stopped throbbing with the pain. I left my hand in it for about 5 minutes…I would recommend longer (like half an hour to get the full benefits).
Records of crystals from another source follow.
/*
1.
Sc2Ga8Ni | GGA-PBE | relaxed

The structure in POSCAR format:
```
Sc2Ga8Ni
1.0
4.191 0.000 0.000
0.000 4.191 0.000
0.000 0.000 10.595
Sc Ga Ni
2 8 1
Cartesian
0.000 0.000 3.305
0.000 0.000 7.290
0.000 2.095 1.328
0.000 2.095 9.267
2.095 0.000 1.328
2.095 0.000 9.267
0.000 2.095 5.298
2.095 0.000 5.298
2.095 2.095 3.225
2.095 2.095 7.370
0.000 0.000 0.000
```

Computed properties:
- V: 186 Å³/cell
- E: -47.80 eV for the cell shown
- Formation energy: -0.466 eV/atom
- Space group: P4/mmm

---

2.
ScGa2Ni | GGA-PBE | relaxed

The structure in POSCAR format:
```
ScGa2Ni
1.0
4.052 0.000 0.000
-2.026 4.792 0.000
0.000 0.000 6.471
Sc Ga Ni
2 4 2
Cartesian
0.000 0.723 1.618
2.026 4.069 4.853
0.000 3.478 2.916
2.026 1.314 3.555
2.026 1.314 6.151
0.000 3.478 0.320
2.026 2.820 1.618
0.000 1.973 4.853
```

Computed properties:
- V: 126 Å³/cell
- E: -41.51 eV for the cell shown
- Formation energy: -0.647 eV/atom
- Space group: Cmcm

---

3.
ScGa5Ni | GGA-PBE | relaxed

The structure in POSCAR format:
```
ScGa5Ni
1.0
-2.453 -2.337 -2.430
3.321 -1.160 -2.238
0.931 -5.241 4.099
Sc Ga Ni
1 5 1
Cartesian
0.000 0.000 0.000
1.941 -2.157 0.115
2.312 -4.244 1.747
-0.947 -2.745 0.018
-0.576 -4.832 1.651
0.434 -1.748 -2.334
0.466 -2.620 2.050
```

Computed properties:
- V: 117 Å³/cell
- E: -30.41 eV for the cell shown
- Formation energy: -0.450 eV/atom
- Space group: P4/mmm

---

4.
Ga3SiNi4 | GGA-PBE | relaxed

The structure in POSCAR format:
```
Ga3SiNi4
1.0
3.234 -3.286 0.000
3.234 3.286 0.000
-0.105 0.000 4.609
Ga Si Ni
3 1 4
Cartesian
1.549 -0.609 3.010
2.585 1.628 1.579
3.203 -1.020 0.726
5.354 0.000 3.878
0.856 0.000 0.620
4.848 0.669 1.659
3.867 -1.634 3.012
3.188 0.965 3.951
```

Computed properties:
- V: 98 Å³/cell
- E: -41.13 eV for the cell shown
- Formation energy: -0.438 eV/atom
- Space group: R3

---

5.
Sm3Ga2Ni6 | GGA-PBE | relaxed

The structure in POSCAR format:
```
Sm3Ga2Ni6
1.0
-4.488 4.488 4.488
4.488 -4.488 4.488
4.488 4.488 -4.488
Sm Ga Ni
6 4 12
Cartesian
0.000 0.000 2.596
2.596 0.000 0.000
6.380 0.000 0.000
0.000 6.380 0.000
0.000 2.596 0.000
0.000 0.000 6.380
2.244 2.244 2.244
2.244 2.244 -2.244
-2.244 2.244 2.244
2.244 -2.244 2.244
1.459 1.459 4.488
4.488 1.459 -1.459
4.488 1.459 1.459
1.459 4.488 1.459
1.459 4.488 -1.459
-1.459 1.459 4.488
1.459 -1.459 4.488
3.029 0.000 3.029
4.488 -1.459 1.459
-1.459 4.488 1.459
0.000 3.029 3.029
3.029 3.029 0.000
```

Computed properties:
- V: 362 Å³/cell
- E: -120.64 eV for the cell shown
- Formation energy: -0.493 eV/atom
- Space group: Im-3m

---

6.
SmGa2Ni | GGA-PBE | relaxed

The structure in POSCAR format:
```
SmGa2Ni
1.0
0.389 0.749 4.048
-0.634 4.046 -0.688
-8.888 0.856 0.696
Sm Ga Ni
2 4 2
Cartesian
-6.558 3.587 2.079
-2.575 2.064 1.978
-4.230 3.556 -0.251
-5.292 1.346 0.260
0.195 0.375 2.024
-0.317 2.023 -0.344
-1.893 3.874 -0.535
-7.629 1.028 0.543
```

Computed properties:
- V: 150 Å³/cell
- E: -38.19 eV for the cell shown
- Formation energy: -0.636 eV/atom
- Space group: Cmmm

---

7.
*/
So much for the records of crystals.
My personal thoughts on using this concoction as a scorpion sting remedy: this time round, the area that was stung, did not swell up as much as much as previous times (when no remedy was used). I felt subjectively that although it did not take away the pain entirely, that the pain was lessened in intensity and duration.
Interestingly enough, I have been told by other people that they have used Itch Done Gone for scorpion bites with good results. I’ve been told that they apply it directly onto the affected areas. My use of baking soda (sodium bicarbonate) was derived from the knowledge that it is used in allergic reactions such as poison ivy to help with itch relief. According to Gnome’s logic, immunological responses tend to set up an acidic environment so the logic in using sodium bicarbonate is to alkalinize the environment; possibly if there are any acidic components to the venom, they might get neutralised.
**These records of crystals were left in the page by mistake:**
'''
First-principles (PBE) data for La2Ti3O9 after structural relaxation, as listed in the Materials Project.

Cell and atoms, written as extended XYZ:
```
28
Lattice="-4.583 4.583 4.583 4.583 -4.583 4.583 4.583 4.583 -4.583" Properties=species:S:1:pos:R:3 pbc="T T T"
La 2.734 2.734 -2.734
La 2.734 -2.734 2.734
La 1.849 1.849 1.849
La 6.432 2.734 2.734
Ti 4.583 1.424 0.000
Ti 4.583 0.000 3.159
Ti 3.159 4.583 0.000
Ti 1.424 0.000 4.583
Ti 0.000 4.583 1.424
Ti 0.000 3.159 4.583
O 3.286 0.000 0.000
O 5.880 0.000 0.000
O 4.827 -1.639 1.952
O 2.944 2.631 -0.244
O 2.631 -0.244 2.944
O 6.222 2.631 0.244
O 1.952 4.827 -1.639
O 0.000 3.286 0.000
O 0.000 0.000 3.286
O 4.339 1.639 1.952
O -0.244 2.944 2.631
O 0.000 5.880 0.000
O 0.000 0.000 5.880
O 1.952 4.339 1.639
O 1.639 1.952 4.339
O 2.631 0.244 6.222
O -1.639 1.952 4.827
O 0.244 6.222 2.631
```

## Properties
For the energy above the most stable polymorph in this dataset, the calculation gives 0.80 eV/f.u. The total magnetization comes out at 0.00 μB/f.u. The calculation puts the formation energy at -3629 meV/atom. The MP2020-corrected energy is -257.8 eV for the cell shown. For the total energy, the calculation gives -8.765 eV/atom.

~~~~~

Entry 1:
## CsB5O8 (PBE)

Data for a relaxed structure of CsB5O8.

a = 8.127 Å, b = 12.305 Å, c = 15.171 Å
α = 90.00°, β = 90.00°, γ = 90.00°
Positions (direct):
Cs 0.046 0.213 0.623
Cs 0.546 0.213 0.877
Cs 0.546 0.287 0.377
Cs 0.454 0.787 0.123
Cs 0.046 0.287 0.123
Cs 0.954 0.713 0.877
Cs 0.454 0.713 0.623
Cs 0.954 0.787 0.377
B 0.970 0.731 0.625
B 0.513 0.965 0.337
B 0.450 0.906 0.793
B 0.950 0.594 0.207
B 0.487 0.465 0.163
B 0.619 0.900 0.922
B 0.487 0.035 0.663
B 0.119 0.900 0.578
B 0.987 0.465 0.337
B 0.677 0.080 0.547
B 0.881 0.100 0.422
B 0.470 0.731 0.875
B 0.970 0.769 0.125
B 0.013 0.535 0.663
B 0.950 0.906 0.707
B 0.550 0.094 0.207
B 0.823 0.920 0.047
B 0.987 0.035 0.837
B 0.119 0.600 0.078
B 0.530 0.231 0.625
B 0.323 0.920 0.453
B 0.050 0.094 0.293
B 0.677 0.420 0.047
B 0.823 0.580 0.547
B 0.030 0.231 0.875
B 0.381 0.100 0.078
B 0.530 0.269 0.125
B 0.050 0.406 0.793
B 0.619 0.600 0.422
B 0.013 0.965 0.163
B 0.550 0.406 0.707
B 0.030 0.269 0.375
B 0.513 0.535 0.837
B 0.323 0.580 0.953
B 0.381 0.400 0.578
B 0.881 0.400 0.922
B 0.177 0.080 0.953
B 0.177 0.420 0.453
B 0.470 0.769 0.375
B 0.450 0.594 0.293
O 0.218 0.543 0.019
O 0.947 0.141 0.826
O 0.098 0.499 0.402
O 0.947 0.359 0.326
O 0.155 0.312 0.436
O 0.845 0.688 0.564
O 0.447 0.141 0.674
O 0.953 0.039 0.355
O 0.447 0.359 0.174
O 0.345 0.812 0.436
O 0.282 0.043 0.019
O 0.417 0.546 0.214
O 0.594 0.791 0.928
O 0.083 0.046 0.214
O 0.553 0.641 0.826
O 0.094 0.709 0.072
O 0.402 0.999 0.402
O 0.594 0.709 0.428
O 0.107 0.303 0.809
O 0.053 0.641 0.674
O 0.607 0.303 0.691
O 0.053 0.859 0.174
O 0.917 0.546 0.286
O 0.902 0.501 0.598
O 0.598 0.001 0.598
O 0.393 0.697 0.309
O 0.553 0.859 0.326
O 0.345 0.688 0.936
O 0.547 0.539 0.355
O 0.845 0.812 0.064
O 0.583 0.454 0.786
O 0.047 0.961 0.645
O 0.083 0.454 0.714
'''
My recommendations: I think that a bottle of Itch Done Gone should be an essential in everybody’s first aid kit. Not only is it effective in relieving the itch and inflammation of insect bites, you can also use it in scorpion stings. If you are interested in this product please click on this link: Itch Done Gone in Casa Mascia Apothecary.